Now search the data underneath for the word "ntyp" and duplicate each line that has it.

! PBE+U LaMoO2, optimized geometry; values from VASP
! Formation energy from the elements: -2034.0 meV per atom
! Space group: No. 141
&SYSTEM
  ibrav = 0, nat = 16, ntyp = 3
/
ATOMIC_SPECIES
La 138.91 La.upf
Mo 95.94 Mo.upf
O 16.00 O.upf
ATOMIC_POSITIONS crystal
La 0.000 0.000 0.000
La 0.000 0.000 0.500
La 0.000 0.500 0.000
La 0.500 0.000 0.500
Mo 0.000 0.500 0.500
Mo 0.500 0.000 0.000
Mo 0.500 0.500 0.000
Mo 0.500 0.500 0.500
O 0.199 0.230 0.531
O 0.199 0.669 0.969
O 0.230 0.199 0.031
O 0.331 0.801 0.531
O 0.669 0.199 0.469
O 0.770 0.801 0.969
O 0.801 0.331 0.031
O 0.801 0.770 0.469
CELL_PARAMETERS angstrom
-3.244 3.244 6.276
3.244 -3.244 6.276
3.244 3.244 -6.276

  ibrav = 0, nat = 16, ntyp = 3